Wednesday, September 24, 2008

Not So Sleepless In Seattle

Last week Joe traveled to Seattle for some meetings. Noelle and I flew to meet him and spend a couple days with some of our co-workers there. I was nervous about traveling alone with Noey...driving to and parking our car in LA, flying out of LAX, and being the sole comforter should she have a mid-flight melt down. And what would I do if I had to sit next to some weird man and needed to nurse??!! (smile). Having already 'survived' sleeping alone at home the night murderers arrived with Joe gone (hee!), I knew who to turn to as I drove off that morning. I prayed to our big God that he would be our "man", our protector, and my companion today. He answered!! I don't know if I've ever had such a smooth travel as I did that day. I found the long-term parking with ease, had to pay no extra for my baggage, flew through security, ended up with whole row to myself on the flight, and Noey slept the whole time. Praise God!

Once in Seattle, we had fun taking in all the sights. Seattle was everything I imagined it to be...beautiful, cool, misty, and grey. I loved the rolling hills, the water that surrounded the city, and especially the Pike Place Market! Pike Place Market is home to the very first Starbucks, many eccentric shops and restaurants, and the fish market. The fish market was truly a sight to see. Scruffy-looking men in plastic aprons hollered, cheered, and threw fish around. Crowds gathered to watch these men work, and people would buy seafood just to see their routine.
Sometimes the customers would even get into the act.

Every now and then, the men would surprise the newcomers in the crowd by throwing a giant fish at them! I shrieked the first time this happened...and then realized the giant fish was a fish pillow. Hee! It was still sick, however, as it was covered with fish juice from the floor. ugh!

Noey, was not so impressed with all the antics. In fact, she would cry every time they started up their chant. Not cut out for life as a sea fisherman I guess...

1 comment:

### Misplaced calculated crystals
-- begin --
1.
VASP calculation (GGA-PBE) on an optimized crystal structure of LaCdPd.

Computed properties:
- Energy of formation: -15.98 kcal/mol of atoms
- Uncorrected energy: -4.37 eV per atom
- Calculated volume: 24.5 Å³/atom
- Calculated density: 8.1 g/cm3

Unit cell a=7.843 b=7.843 c=4.134 alpha=90.00 beta=90.00 gamma=120.00
Fractional coordinates of all 9 atoms:
La (0.000, 0.592, 0.000)
La (0.408, 0.408, 0.000)
La (0.592, 0.000, 0.000)
Cd (0.000, 0.248, 0.500)
Cd (0.248, 0.000, 0.500)
Cd (0.752, 0.752, 0.500)
Pd (0.000, 0.000, 0.000)
Pd (0.333, 0.667, 0.500)
Pd (0.667, 0.333, 0.500)

---

2.
VASP calculation (GGA-PBE) on an optimized crystal structure of LaCd2Pd.

Computed properties:
- Energy of formation: -13.64 kcal/mol of atoms
- Uncorrected energy: -3.58 eV per atom
- Calculated volume: 23.9 Å³/atom
- Calculated density: 8.2 g/cm3

Unit cell a=5.544 b=5.544 c=8.648 alpha=90.00 beta=90.00 gamma=134.07
Fractional coordinates of all 8 atoms:
La (0.065, 0.935, 0.750)
La (0.935, 0.065, 0.250)
Cd (0.355, 0.645, 0.547)
Cd (0.355, 0.645, 0.953)
Cd (0.645, 0.355, 0.047)
Cd (0.645, 0.355, 0.453)
Pd (0.221, 0.779, 0.250)
Pd (0.779, 0.221, 0.750)

---

3.
VASP calculation (GGA-PBE) on an optimized crystal structure of La4CdPt.

Computed properties:
- Energy of formation: -12.65 kcal/mol of atoms
- Uncorrected energy: -5.00 eV per atom
- Calculated volume: 31.3 Å³/atom
- Calculated density: 7.6 g/cm3

Unit cell a=10.201 b=10.201 c=10.201 alpha=60.00 beta=60.00 gamma=60.00
Fractional coordinates of all 24 atoms:
La (0.187, 0.187, 0.813)
La (0.187, 0.813, 0.187)
La (0.187, 0.813, 0.813)
La (0.401, 0.401, 0.401)
La (0.401, 0.401, 0.797)
La (0.401, 0.797, 0.401)
La (0.560, 0.560, 0.940)
La (0.560, 0.940, 0.560)
La (0.560, 0.940, 0.940)
La (0.797, 0.401, 0.401)
La (0.813, 0.187, 0.187)
La (0.813, 0.187, 0.813)
La (0.813, 0.813, 0.187)
La (0.940, 0.560, 0.560)
La (0.940, 0.560, 0.940)
La (0.940, 0.940, 0.560)
Cd (0.169, 0.169, 0.169)
Cd (0.169, 0.169, 0.494)
Cd (0.169, 0.494, 0.169)
Cd (0.494, 0.169, 0.169)
Pt (0.177, 0.608, 0.608)
Pt (0.608, 0.177, 0.608)
Pt (0.608, 0.608, 0.177)
Pt (0.608, 0.608, 0.608)

---

4.
VASP calculation (GGA-PBE) on an optimized crystal structure of La23Cd4Rh7.

Computed properties:
- Energy of formation: -10.85 kcal/mol of atoms
- Uncorrected energy: -5.43 eV per atom
- Calculated volume: 30.2 Å³/atom
- Calculated density: 7.1 g/cm3

Unit cell a=10.138 b=10.138 c=23.070 alpha=90.00 beta=90.00 gamma=120.00
Fractional coordinates of all 68 atoms:
La (0.000, 0.000, 0.051)
La (0.000, 0.000, 0.551)
La (0.081, 0.541, 0.137)
La (0.082, 0.541, 0.408)
La (0.128, 0.255, 0.687)
La (0.128, 0.872, 0.687)
La (0.203, 0.407, 0.834)
La (0.203, 0.797, 0.834)
La (0.206, 0.413, 0.000)
La (0.206, 0.794, 0.000)
La (0.207, 0.414, 0.271)
La (0.207, 0.793, 0.271)
La (0.210, 0.419, 0.542)
La (0.210, 0.790, 0.542)
La (0.255, 0.128, 0.187)
La (0.333, 0.667, 0.698)
La (0.407, 0.203, 0.334)
La (0.413, 0.206, 0.500)
La (0.414, 0.207, 0.771)
La (0.419, 0.210, 0.042)
-- stop --

Lauren said...

joy! so wonderful! I will be in Seattle in three weeks to visit my brother! Hooray :) It's actually an answer to prayer, as I asked God for the time and money to go see him (it's been a year) and three days later my parents called out of the blue and said, "let's go to Seattle and we have left over voucher money for your plane ticket." God is so good!

I'm excited to visit the Pike Place Market and see these fish flying around. Hopefully I'll have less tears than little noey. . .although it was so cute to watch :)